Transcribe the lines further down up to the one that holds "eV: -6.989", that line included.

#P
Below is an isolated molecule of C5H8N2, with properties calculated with ωB97M-V with the def2-TZVPD basis set.

## Properties
SMILES: Cc1c[nH]c(N)c1
Net charge: 0
HOMO energy in eV: -6.960
Orbital gap in eV: 7.9

XYZ file:
```
15
C5H8N2 ωB97M-V with the def2-TZVPD basis set
C 2.3382 -0.1784 -0.1592
C 0.8489 -0.3940 0.1943
C -0.0163 -1.1189 -0.6258
N -1.3179 -0.6962 -0.5048
C -1.4198 0.2081 0.5086
N -2.3462 1.2556 0.1648
C -0.0488 0.1730 1.1250
H 2.4266 0.4296 -1.0856
H 2.9386 0.3555 0.5875
H 2.8481 -1.1178 -0.3972
H 0.1647 -2.1481 -0.8813
H -1.9289 -0.7180 -1.3167
H -2.6670 1.9068 0.8660
H -2.0339 1.7759 -0.6598
H 0.2137 0.2668 2.1841
```

#Q
Below is a structure of composition C5H8N2, with properties calculated with ωB97M-V with the def2-TZVPD basis set.

## Properties
Net charge: 0
HOMO energy in eV: -8.784
Orbital gap in eV: 9.7

XYZ file:
```
15
C5H8N2 ωB97M-V with the def2-TZVPD basis set
C 0.5868 -0.7363 0.4067
C -0.5334 0.4025 -1.0421
C 0.2328 1.5130 -0.4739
C -0.0465 0.6566 0.7855
C -1.4720 0.4280 0.1679
H 1.1392 -1.2980 2.0451
H 0.3899 -1.6176 -1.5628
H -0.7398 0.2459 -2.1190
H 1.3118 1.4915 -0.5828
H -0.1115 2.5544 -0.5995
H 0.1420 0.9494 1.8888
H -2.0659 -0.4889 0.2734
H -2.1468 1.3643 0.2261
N 1.0644 -1.6417 1.1095
N 0.2892 -0.7561 -0.9143
```

#R
Below is an isolated molecule of C5H8N2, with properties calculated with ωB97M-V with the def2-TZVPD basis set.

## Properties
Net charge: 0
HOMO energy in eV: -6.989
Orbital gap in eV: 7.4

XYZ file:
```
15
C5H8N2 ωB97M-V with the def2-TZVPD basis set
C -1.5247 -0.9470 -0.0447
C -1.0884 1.2670 0.7737
C -0.2923 1.9421 -0.0679
N 0.9199 1.1845 -0.4612
C 0.8739 -0.0214 0.0270
N 1.9117 -0.9227 -0.0642
C -0.4842 -0.1354 0.7523
H -1.1665 -1.9399 -0.3287
H -2.4070 -1.0374 0.6011
H -1.8779 -0.3992 -0.9309
H -0.3755 2.9265 -0.5151
H 1.7206 1.5780 -0.9409
H 1.7857 -1.7786 0.4570
H 2.3391 -1.0636 -0.9724
H -0.3343 -0.6529 1.7150
```

Energies relative to the most stable structure, in eV: #P 0.269; #Q 0.000; #R 0.658.

#P
Below is an isolated molecule of C5H8N2, with properties calculated with ωB97M-V with the def2-TZVPD basis set.

## Properties
SMILES: [H]/N=C1\C(=N/[H])C1CC
Net charge: 0
HOMO energy in eV: -8.242
Orbital gap in eV: 8.4

XYZ file:
```
15
C5H8N2 ωB97M-V with the def2-TZVPD basis set
H 0.2857 -2.3922 1.5317
N 0.6846 -1.5929 1.0380
C -0.1247 -1.0253 0.2538
C -1.5209 -0.9804 -0.2827
N -2.7514 -1.1523 -0.0860
H -2.9649 -1.5992 0.8077
C -0.4735 -0.3311 -0.9918
C 0.1258 1.1746 -0.2971
C 1.5807 1.2151 0.0986
H -0.0992 -0.4014 -2.0031
H -0.5352 1.5527 0.4818
H -0.0426 1.7981 -1.1734
H 1.7129 0.8236 1.1059
H 2.1983 0.6604 -0.6068
H 1.9246 2.2503 0.1233
```

#Q
Below is an isolated molecule of C5H8N2, with properties calculated with ωB97M-V with the def2-TZVPD basis set.

## Properties
SMILES: C[C@H]1CN[C@H]1C#N
Net charge: 0
HOMO energy in eV: -9.658
Orbital gap in eV: 10.6

XYZ file:
```
15
C5H8N2 ωB97M-V with the def2-TZVPD basis set
C 1.4982 -0.4418 -0.6273
C 0.6086 0.3056 0.3486
C -0.3319 1.3764 -0.2426
N -1.4666 0.8077 0.5101
C -0.6826 -0.3823 0.8865
C -1.0684 -1.6275 0.2081
N -1.4203 -2.6043 -0.3038
H 0.9282 -0.7944 -1.4943
H 2.2897 0.2228 -0.9918
H 1.9749 -1.3106 -0.1614
H 1.1933 0.6864 1.1908
H -0.4181 1.2987 -1.3355
H -0.1152 2.4155 0.0237
H -2.2983 0.6142 -0.0379
H -0.6929 -0.5819 1.9642
```

#R
Below is an isolated molecule of C5H8N2, with properties calculated with ωB97M-V with the def2-TZVPD basis set.

## Properties
SMILES: Cn1ccc(N)c1
Net charge: 0
HOMO energy in eV: -7.549
Orbital gap in eV: 8.6

XYZ file:
```
15
C5H8N2 ωB97M-V with the def2-TZVPD basis set
C 2.3117 0.2513 0.0498
N 0.9064 -0.0592 -0.0404
C 0.3544 -1.2865 0.1586
C -1.0322 -1.1281 0.2284
C -1.2915 0.2191 -0.1020
N -2.6097 0.7134 -0.1421
C -0.0990 0.8842 -0.1496
H 2.8900 -0.5741 -0.3705
H 2.5137 1.1604 -0.5204
H 2.6139 0.4100 1.0932
H 1.0176 -2.1503 0.2224
H -1.6943 -1.6389 0.8947
H -3.2547 -0.0655 -0.2437
H -2.7257 1.3194 -0.9382
H 0.0993 1.9448 -0.1402
```

#P
Below is an isolated molecule of C5H8N2, with properties calculated with ωB97M-V with the def2-TZVPD basis set.

## Properties
SMILES: Cc1c[nH]c(N)c1
Net charge: 0
HOMO energy in eV: -6.960
Orbital gap in eV: 7.9

XYZ file:
```
15
C5H8N2 ωB97M-V with the def2-TZVPD basis set
C 2.3382 -0.1784 -0.1592
C 0.8489 -0.3940 0.1943
C -0.0163 -1.1189 -0.6258
N -1.3179 -0.6962 -0.5048
C -1.4198 0.2081 0.5086
N -2.3462 1.2556 0.1648
C -0.0488 0.1730 1.1250
H 2.4266 0.4296 -1.0856
H 2.9386 0.3555 0.5875
H 2.8481 -1.1178 -0.3972
H 0.1647 -2.1481 -0.8813
H -1.9289 -0.7180 -1.3167
H -2.6670 1.9068 0.8660
H -2.0339 1.7759 -0.6598
H 0.2137 0.2668 2.1841
```

#Q
Below is a structure of composition C5H8N2, with properties calculated with ωB97M-V with the def2-TZVPD basis set.

## Properties
Net charge: 0
HOMO energy in eV: -8.784
Orbital gap in eV: 9.7

XYZ file:
```
15
C5H8N2 ωB97M-V with the def2-TZVPD basis set
C 0.5868 -0.7363 0.4067
C -0.5334 0.4025 -1.0421
C 0.2328 1.5130 -0.4739
C -0.0465 0.6566 0.7855
C -1.4720 0.4280 0.1679
H 1.1392 -1.2980 2.0451
H 0.3899 -1.6176 -1.5628
H -0.7398 0.2459 -2.1190
H 1.3118 1.4915 -0.5828
H -0.1115 2.5544 -0.5995
H 0.1420 0.9494 1.8888
H -2.0659 -0.4889 0.2734
H -2.1468 1.3643 0.2261
N 1.0644 -1.6417 1.1095
N 0.2892 -0.7561 -0.9143
```

#R
Below is an isolated molecule of C5H8N2, with properties calculated with ωB97M-V with the def2-TZVPD basis set.

## Properties
Net charge: 0
HOMO energy in eV: -6.989